Results and forecasts: Group-IB presented Hi-Tech Crime Trends 2017 report
13.10.2017 securityaffairs CyberCrime

### Records of crystals, as found in the file
+++
Record 1
This record from Alexandria via LeMat-Bulk describes crystalline Pu2Pa3Ga3 at its relaxed geometry. The functional is PBE.

```
16
Lattice="-2.588 3.533 2.399 -3.491 -4.187 -0.820 3.580 -5.255 11.598" Properties=species:S:1:pos:R:3 pbc="T T T"
Pu -1.305 -4.563 11.397
Pu -0.363 -2.565 4.470
Pu -2.136 -3.345 8.708
Pu -1.193 -1.346 1.780
Pa -0.969 -1.168 6.993
Pa 0.110 -7.148 11.493
Pa -2.608 1.238 1.685
Pa -1.529 -4.742 6.184
Pa -3.099 -3.674 3.063
Pa 0.600 -2.236 10.114
Ga -3.514 -2.448 5.892
Ga 2.034 -4.956 10.585
Ga -4.532 -0.953 2.592
Ga 1.016 -3.461 7.285
Ga -2.532 -0.530 4.312
Ga 0.034 -5.380 8.865
```

Output
- total energy (eV for the cell shown) = -135.6
- M_tot (μB/atom) = 1.5153
- ρ (kg/m3) = 13213

***

Record 2
This record from Alexandria via LeMat-Bulk describes crystalline PmCdIrO6 at its relaxed geometry. The functional is PBE.

```
18
Lattice="5.690 0.000 0.000 -2.845 4.928 0.000 0.000 0.000 8.926" Properties=species:S:1:pos:R:3 pbc="T T T"
Pm 0.000 3.285 2.231
Pm 2.845 1.643 6.694
Cd 0.000 0.000 0.000
Cd 0.000 0.000 4.463
Ir 2.845 1.643 2.231
Ir 0.000 3.285 6.694
O 2.049 3.029 1.150
O 4.444 1.639 1.150
O -0.803 4.668 5.613
O -1.599 3.289 7.776
O 1.246 1.639 3.313
O 3.641 3.029 3.313
O 0.803 4.668 7.776
O 3.648 0.260 3.313
O -0.796 1.899 5.613
O 2.042 0.260 1.150
O 1.599 3.289 5.613
O 0.796 1.899 7.776
```

Output
- formation energy from raw total energies (eV per atom) = -1.3605
- M_tot (μB/atom) = 0.1928
- ρ (kg/m3) = 7240

***

Record 3
This record from Alexandria via LeMat-Bulk describes crystalline Ca2ZnAu at its relaxed geometry. The functional is PBE.

```
4
Lattice="5.908 0.034 -0.018 4.840 3.388 -0.018 1.601 0.510 4.956" Properties=species:S:1:pos:R:3 pbc="T T T"
Zn 6.550 2.086 2.494
Au 2.767 0.881 1.158
Ca 10.547 3.358 0.249
Ca 9.407 2.995 3.441
```

Output
- total energy (eV for the cell shown) = -10.3
- M_tot (μB/atom) = 0.0000
- ρ (kg/m3) = 5775

* * * * *

# LiDyMoO4, relaxed, DFT PBE+U
# final energy = -0.52597 Ry per atom
# magnetization = 0.286 μB per atom
data_LiDyMoO4
_space_group_name_H-M_alt 'I m m a'
_space_group_IT_number 74
_space_group_name_Hall '-I 2b 2'
_cell_length_a 6.3187
_cell_length_b 6.8192
_cell_length_c 9.1331
_cell_angle_alpha 90.00
_cell_angle_beta 90.00
_cell_angle_gamma 90.00
loop_
_atom_site_label
_atom_site_type_symbol
_atom_site_fract_x
_atom_site_fract_y
_atom_site_fract_z
_atom_site_occupancy
Li1 Li 0.0000 0.2500 0.0970 1
Dy1 Dy 0.0000 0.0000 0.5000 1
Mo1 Mo 0.2500 0.2500 0.7500 1
O1 O 0.0000 0.0413 0.7468 1
O2 O 0.2363 0.2500 0.5249 1

* * * * *

DFT (GGA+U) results for a relaxed structure of VAg2P2O8.

Output
uncorrected energy = -6.58 eV per atom
space-group type = No. 14

Structure (POSCAR):
```
VAg2P2O8
1.0
7.7956 0.0000 0.0000
0.0000 14.0821 0.0000
-1.0690 0.0000 6.2712
V Ag P O
4 8 8 32
direct
0.2245 0.0750 0.2654
0.2245 0.4250 0.7654
0.7755 0.5750 0.2346
0.7755 0.9250 0.7346
0.0449 0.7138 0.6514
0.0449 0.7862 0.1514
0.4690 0.6469 0.5754
0.4690 0.8531 0.0754
+++

Hi-Tech Crime Trends 2017 – Banks, powerstations and cryptocyrrency exchanges are forecast to be the most likely targets for hacking in the near future
Group-IB, one of the global leaders in preventing and investigating high-tech crimes and online fraud, presented its Hi-Tech Crime Trends 2017 report at CyberCrimeCon,

Group-IB presented Hi-Tech Crime Trends 2017 report

____________
TlTc2Se | the Alexandria database | PBE-GGA | relaxed; total DFT energy (no corrections) = -23.42 eV for the cell shown; symmetry = No. 119; formation energy from raw total energies = 76.4 kJ/mol of atoms
1.0
4.9291 0.0067 0.0000
1.2679 4.7633 0.0000
-3.0985 -2.3850 3.0012
Se Tc Tl
1 2 1
Cartesian
2.4646 0.0033 1.5006
0.0000 0.0000 0.0000
0.6339 2.3816 1.5006
3.0985 2.3850 0.0000

=====

RbZn3Cu | PBE | optimized geometry

Unit cell a=6.594 b=6.594 c=6.594 alpha=90.00 beta=90.00 gamma=90.00
Space group Pm-3m (No. 221)
Unique sites:
Rb (0.000, 0.000, 0.000) [1 per cell]
____________

In the next year, the main source of losses for banks from cyber-attacks will not be theft of money, but destruction of their IT infrastructure during the final stages of a targeted attack. Banks used to be attacked by cybercriminals. Today, state-backed hackers are also doing this much more frequently. By destroying IT infrastructure cybercriminals will attempt to cover their tracks during thefts, while the aim of state-sponsored hackers will be to maximize the damage to banks and discontinue banking operations. In both cases, the damage done to banks may be even greater than the amount of funds stolen due to service interruptions and the resulting reputational and regulatory impact.

One of the possible sabotage scenarios may be trading on exchanges on behalf of the victim bank in order to influence exchange rates and cause losses. This can lead to snowballing style flash crashes as HFT trading algorithms respond to fluctuations in exchange rates.
Out of 22 new malicious programs used to steal funds, 20 (91%) were created and are controlled by Russian-speaking hackers.
Phishing for banks and payment systems is automated and conducted in real time, which allows cybercriminals to bypass SMS confirmations for debiting money. On average, 10-15% of visitors of financial phishing websites enter their data.
Hackers are increasing their focus on the crypto industry (ICO, wallets, exchanges, funds), which have been accumulating increasingly large capitalisations and funds. In technical terms, the attacks against service providers in this sector are no more difficult than against banks, however the information security in place and maturity of blockchain companies is significantly lower. A further motivation for criminal attackers is that blockchain technologies are more anonymous and unregulated – this considerably reduces the risk of being caught during money withdrawal.

The total damage caused by targeted hacker attacks on the crypto-currency industry amounts to more than $168 million, and the income from attacks on cryptocurrency exchanges varies from $1.5 million (Bitcurex) to $72 million (Bitfinex). While a successful attack on a bank brings criminals only about $1.5 million on average.
Attacks on cryptocurrency exchanges are conducted in the same way as targeted attacks on banks with similar or sometimes identical tools and tactics. E.g. cybercriminals use fake ID to get victim’s SIM-card to recover passwords and gain control over accounts in cryptocurrency services.
The fact attackers are “retargeting” popular banking Trojans such as TrickBot, Vawtrak, Qadars, Tinba, Marcher to collect logins and passwords of cryptocurrency users suggests that they have found a new niche and might focus outside of the traditional banking sector in the nearest future.
Targeted attacks on cryptocurrency exchanges will be carried out not only by financially motivated hackers but by state-sponsored attackers as well.
Hackers will now successfully attack more industrial facilities as they have learnt how to work with the “logic” of critical infrastructure. These facilities use complex and unique IT systems: even if one gains access to them, specific knowledge about the principles of their operation is needed to conduct attacks. Over the past year, we have observed that hackers’ competence has increased along with their capacities to impact critical infrastructure. Therefore, we now forecast new large-scale incidents targeting industrials and related core infrastructure.

BlackEnergy group continues to attack financial and energy companies. The group uses new tools that allow Remote terminal units (RTUs) responsible for the physical opening/closing of power grids to be remotely controlled. Test attacks on power generating companies in the UK and Ireland were tracked in the summer of 2017.


The growth in the number of attacks and the totals stolen is a significant indicator of hackers’ capabilities, which drive changes in their tactics and targets. The majority of attackers follow the money, and if they find more efficient and safer ways to earn it, they start investing in them, creating new tools, services, and attack schemes.

In Russia, the amount of losses caused by theft from legal entities is still in decline, but the loss caused by Android banking Trojans is still on the increase. The number of targeted attacks on banks and payment systems is on the rise, but hackers have earned the majority of their profits outside Russia, as we predicted last year.

After phishing attacks on bank clients and payment systems were fully automated, the amount of loss from their activity in Russia became very significant. Every day they attack many more users than banking Trojans, but the net amount of loss is still smaller. However, due to the simplicity of this scheme, an increasing number of criminals are starting to use it.

Development of Hacking Tools

Fileless malware using malicious scripts to launch an attack is a new and currently the primary attack method. To slip under the radar, hackers use fileless software that exists only in RAM until the system is rebooted. That said, malicious PowerShell, VBS, PHP scripts help them to ensure persistence in the system and automate some stages of their attacks.
NotPetya has demonstrated that creating a template can be enough to gain control over a corporate network. In the future, we should expect many scripted cyber-attacks as well as ready-made simple tools that can gain control over corporate domains automatically. If such tools are made publicly available or are sold among hackers, this can lead to an avalanche in growth of attacks on the corporate sector. We primarily expect more incidents involving ransomware, theft of confidential information and extortion for non-disclosure, money theft, and incidents of public exposure by non-financially motivated hackers.
We expect malware developers to be more active in continuing to publish codes of their programs online. In addition, leaks published by The Shadow Brokers and similar organisations will also be immediately used for malware creation and improvement. This will give a powerful boost to the development of the cybercrime industry.
The full version of Hi-Tech Crime Trends 2017 is available on the Group-IB website